### Activity
Could you search the lines below for the word "occupied" and copy each line that has it?

### Source
Record 1
ORCA calculation (wB97M-V/def2-TZVPD) on a gas-phase ion, CHO2S2 (charge -1) in a non-equilibrium geometry.

Its highest occupied orbital energy is -2.88 eV. The structure (SMILES) is [O-]SOC=S. Its charge is -1.

Each line ends with the Löwdin charge.
Element x y z (Å)
1 C -0.337 -0.659 -0.604  -0.80
2 O 1.591 1.099 1.486  -0.79
3 O -0.731 0.308 0.248  -0.51
4 S -1.441 -1.763 -1.249  0.42
5 S 0.258 1.717 1.175  0.64
6 H 0.661 -0.702 -1.056  0.04

***

Record 2
ORCA calculation (wB97M-V/def2-TZVPD) on 2 unconnected molecules or ions with the total composition CHO4 in a non-equilibrium geometry.

Its highest occupied orbital energy (spin up / spin down) is -16.64 / -16.60 eV. Its charge is +1.

Each line ends with the Löwdin charge.
Element x y z (Å)
1 C 3.320 0.213 0.104  -0.39
2 O 4.488 0.176 0.171  0.25
3 O -0.139 1.290 -0.837  0.40
4 O -0.754 0.751 0.092  0.33
5 O 2.189 0.232 0.148  0.20
6 H -1.680 0.936 0.230  0.21

***

Record 3
ORCA calculation (wB97M-V/def2-TZVPD) on 2 unconnected molecules or ions with the total composition CHO4S in a non-equilibrium geometry.

Its highest occupied orbital energy is -4.99 eV. Its charge is -1.

Each line ends with the Löwdin charge.
Element x y z (Å)
1 C 2.239 0.205 -0.835  -0.03
2 O -1.548 1.506 0.724  -0.47
3 O 2.538 -0.712 -0.257  0.02
4 O -1.571 -0.334 -1.033  -0.51
5 O -1.009 -0.785 1.451  -0.46
6 S -1.024 0.141 0.303  0.45
7 H 0.374 -0.020 -0.353  0.00

***

Record 4
ORCA calculation (wB97M-V/def2-TZVPD) on a single CHOPS molecule in a non-equilibrium geometry.

Its highest occupied orbital energy is -8.89 eV. The structure (SMILES) is O=CP=S. Its charge is 0.

Each line ends with the Löwdin charge.
Element x y z (Å)
1 C 0.224 1.304 -0.468  -0.61
2 O -0.560 1.212 0.408  -0.04
3 P 2.104 1.195 -0.197  0.41
4 S 2.463 -0.640 0.209  0.13
5 H -0.198 1.563 -1.595  0.11

***

Record 5
ORCA calculation (wB97M-V/def2-TZVPD) on 2 unconnected molecules or ions with the total composition CHOPS in a non-equilibrium geometry.

Its highest occupied orbital energy is -9.08 eV. Its charge is 0.

Each line ends with the Löwdin charge.
Element x y z (Å)
1 C 0.233 -0.466 -0.002  -0.97
2 O -0.854 2.040 0.250  -0.48
3 P -1.231 0.628 0.154  0.77
4 S 0.415 -2.055 0.367  0.55
5 H 1.437 -0.147 -0.769  0.13

***

Record 6
ORCA calculation (wB97M-V/def2-TZVPD) on 2 unconnected molecules or ions with the total composition CHPS3 in a non-equilibrium geometry.

Its highest occupied orbital energy (spin up / spin down) is -7.94 / -7.94 eV. Its charge is 0.

Each line ends with the Löwdin charge.
Element x y z (Å)
1 C -4.729 0.402 0.144  -1.40
2 P -0.341 -1.438 -0.346  0.13
3 S -5.039 -1.101 -0.094  0.71
4 S -4.277 1.918 0.317  0.67
5 S -1.510 -0.712 -1.760  0.09
6 H -1.628 0.593 -1.361  -0.20

***

Record 7
ORCA calculation (wB97M-V/def2-TZVPD) on a molecular structure, CI3O3S in a non-equilibrium geometry.

Its highest occupied orbital energy is -4.70 eV. Its charge is -1.

Each line ends with the Löwdin charge.
Element x y z (Å)
1 C -1.797 -0.157 -0.054  -1.86
2 O 0.729 1.089 1.172  -0.39
3 O 1.180 0.636 -1.186  -0.37
4 O 1.108 -1.237 0.442  -0.34
5 S 0.770 0.114 0.136  0.42
6 I -2.769 -1.856 -0.894  0.53
7 I -2.274 0.059 2.079  0.50
8 I -2.449 1.693 -0.968  0.50

***

Record 8

### Completed
Its highest occupied orbital energy is -2.88 eV. The structure (SMILES) is [O-]SOC=S. Its charge is -1.
Its highest occupied orbital energy (spin up / spin down) is -16.64 / -16.60 eV. Its charge is +1.
Its highest occupied orbital energy is -4.99 eV. Its charge is -1.
Its highest occupied orbital energy is -8.89 eV. The structure (SMILES) is O=CP=S. Its charge is 0.
Its highest occupied orbital energy is -9.08 eV. Its charge is 0.
Its highest occupied orbital energy (spin up / spin down) is -7.94 / -7.94 eV. Its charge is 0.
Its highest occupied orbital energy is -4.70 eV. Its charge is -1.